_AM: Tic... Toc... It's the hour... Tic... Toc... The week... Tic... Toc... The month... Tic... Toc... It's the Year... Tic... Toc... It's the Century... It's the millennium... It's the Cycle...
_I: Tic Toc is the Rhythm.
_AM: This sound is known to all, marking a constant pulse.
_I: It's the tick-tock of the clock, the second hand and the minute hand, marking time. In music, rhythm is precisely called "Time."
_AM: What is time, then?
_I: It's probably a succession of Rhythms...
== What comes next are calculated crystals, not part of the article ==
- - -
DFT (PBE-GGA) results for an optimized crystal structure of LiInGeO4.

a b c (Å): 5.0688 6.1745 10.8904
angles (deg): 90.00 90.00 90.00
With the nearest neighbours (Å) after each atom.
Sites, in units of the cell vectors:
Li  0.0000  0.0000  0.0000  6 O 2.15-2.29
Li  0.5000  0.0000  0.5000  6 O 2.15-2.29
Li  0.0000  0.5000  0.0000  6 O 2.15-2.29
Li  0.5000  0.5000  0.5000  6 O 2.15-2.29
In  0.0073  0.7500  0.2722  6 O 2.14-2.27
In  0.4927  0.7500  0.7722  6 O 2.14-2.27
In  0.9927  0.2500  0.7278  6 O 2.14-2.27
In  0.5073  0.2500  0.2278  6 O 2.14-2.27
Ge  0.5582  0.7500  0.0870  4 O 1.75-1.81
Ge  0.9418  0.7500  0.5870  4 O 1.75-1.81
Ge  0.4418  0.2500  0.9130  4 O 1.75-1.81
Ge  0.0582  0.2500  0.4130  4 O 1.75-1.81
O  0.7729  0.5322  0.6661  1 Ge 1.81
O  0.2271  0.4678  0.3339  1 Ge 1.81
O  0.7271  0.5322  0.1661  1 Ge 1.81
O  0.7729  0.9678  0.6661  1 Ge 1.81
O  0.2729  0.0322  0.8339  1 Ge 1.81
O  0.7860  0.2500  0.9060  1 Ge 1.75
O  0.2729  0.4678  0.8339  1 Ge 1.81
O  0.2271  0.0322  0.3339  1 Ge 1.81
O  0.2140  0.7500  0.0940  1 Ge 1.75
O  0.7140  0.2500  0.4060  1 Ge 1.75
O  0.7895  0.7500  0.4411  1 Ge 1.77
O  0.2860  0.7500  0.5940  1 Ge 1.75
O  0.7105  0.7500  0.9411  1 Ge 1.77
O  0.2895  0.2500  0.0589  1 Ge 1.77
O  0.2105  0.2500  0.5589  1 Ge 1.77
O  0.7271  0.9678  0.1661  1 Ge 1.81

VASP energy, eV per cell: -166.157
Crystal system: orthorhombic
ΔH_f (0 K), eV/f.u.: -15.21

---

DFT (PBE-GGA) results for an optimized crystal structure of TlFe2Se2.

a b c (Å): 8.1275 8.1275 8.1275
angles (deg): 153.67 153.67 37.58
With the nearest neighbours (Å) after each atom.
Sites, in units of the cell vectors:
Tl  0.0000  0.0000  0.0000  8 Se 3.42, 4 Tl 3.70
Fe  0.7500  0.2500  0.5000  4 Se 2.48, 4 Fe 2.62
Fe  0.2500  0.7500  0.5000  4 Se 2.48, 4 Fe 2.62
Se  0.6427  0.6427  0.0000  4 Fe 2.48
Se  0.3573  0.3573  0.0000  4 Fe 2.48

VASP energy, eV per cell: -27.432
Crystal system: tetragonal
ΔH_f (0 K), eV/f.u.: -2.08

---

DFT (PBE-GGA) results for an optimized crystal structure of Na14Mg4In4Si5S7O48.

a b c (Å): 18.3645 9.1404 22.4601
angles (deg): 89.90 90.28 119.81
With the nearest neighbours (Å) after each atom.
Sites, in units of the cell vectors:
Na  0.8075  0.9945  0.2498  3 O 2.33-2.56
Na  0.1852  0.3577  0.2523  6 O 2.42-2.64
Na  0.6819  0.3516  0.2516  6 O 2.52-2.74
Na  0.0045  0.6508  0.2451  7 O 2.42-2.71
Na  0.5097  0.6515  0.2392  6 O 2.41-2.63
Na  0.3180  0.6193  0.7524  3 O 2.37-2.54
Na  0.0094  0.3669  0.7397  6 O 2.48-2.61
Na  0.5035  0.3744  0.7444  4 O 2.39-2.58
Na  0.1854  0.0180  0.7508  5 O 2.43-2.67
Na  0.6716  0.9941  0.7496  5 O 2.48-2.75
Na  0.1471  0.3253  0.5845  4 O 2.36-2.63
Na  0.6510  0.3246  0.5822  5 O 2.41-2.67
Na  0.3300  0.9768  0.5915  4 O 2.32-2.59
Na  0.8315  0.9878  0.5855  2 O 2.34-2.46
Na  0.1547  0.9836  0.0747  4 O 2.46-2.62
Na  0.6449  0.9657  0.0781  4 O 2.35-2.61
Na  0.3337  0.6777  0.0803  2 O 2.33-2.50
Na  0.8277  0.6810  0.0846  2 O 2.30-2.43
Na  0.4857  0.6793  0.9172  5 O 2.43-2.66
- - -
_AM: Time only exists as a way to measure Vibration. Let's go back to the Third Universal Law. Everything vibrates, and the reason it does so is due to the interaction of movement that produces echoes, of concepts, objects, or subjects that respond to each other, that "correspond," Second Law. The vibration wave will have different tunings depending on the intensity of the pulse, of the sound, creating different resonances that you call Frequencies. The wave's frequency will speak to the measure of repetition of the response, that is, how long it takes for a wave to repeat itself, and therefore, to hear the same sound again. This pulse can be constant if it is not changed, which generates a pulse that marks the basis of all reality fractalization, and this is called Rhythm, and Rhythm is known as "Time."
== Materials data from another source follow ==
+++
Computed, not measured: a relaxed La2MnNiO6 crystal at the PBE+U level of DFT.

Cell and atoms, written as extended XYZ:
```
10
Lattice="-0.3296 -4.6035 -2.9748 2.5898 -4.5031 1.7795 -2.9799 -4.1941 1.9185" Properties=species:S:1:pos:R:3 pbc="T T T"
Ni -0.3599 -6.6503 0.3616
O -2.0631 -7.7155 -0.0510
O -0.7137 -5.5897 -1.3577
O -0.0061 -7.7109 2.0808
O 0.8064 -7.9094 -0.7611
O -1.5261 -5.3912 1.4842
O 1.3433 -5.5851 0.7741
La -0.1798 -3.3218 0.1806
La -0.5400 -9.9788 0.5425
Mn 0.0000 0.0000 0.0000
```

Spin magnetization   5.0 μB/f.u.
Crystal system   trigonal
SG   R-3
Calculated total energy   -74.41 eV per formula unit

=====

Computed, not measured: a relaxed Mn5Si4O14 crystal at the PBE+U level of DFT.

Cell and atoms, written as extended XYZ:
```
46
Lattice="7.7952 -0.1414 -0.5021 2.6578 6.5457 5.5297 1.7434 -8.0034 4.9681" Properties=species:S:1:pos:R:3 pbc="T T T"
Mn 2.3681 -2.2859 5.6900
Mn 6.4774 4.8636 5.7437
Mn 2.2804 0.8811 4.7892
Mn 5.4761 -6.5174 4.2713
Mn 6.1471 -0.7742 4.8772
Mn 4.3020 -2.7102 3.1279
Mn 10.4027 -3.5398 8.1840
Mn 1.8012 1.9155 1.8702
Mn 7.7423 -0.1643 -0.3805
Mn 7.8865 1.1372 6.8121
O 0.8881 -0.1319 1.7847
O 2.6995 -2.0487 1.9181
O 3.6513 -3.4557 6.8025
O 6.8173 1.0110 4.8624
O 7.0344 -0.8914 6.5409
O 6.0192 1.7383 2.4222
O 8.5987 2.1304 3.1353
O 2.9252 -0.5404 6.4362
O 11.2675 -1.5195 8.4375
O 9.3760 -1.2288 3.7314
O 6.2820 -3.3015 7.3634
O 5.2557 -5.1712 5.6752
O 2.5898 -3.6264 4.2852
O 4.1894 -5.3514 3.1623
O 4.5180 0.2886 0.7647
O 5.3902 -2.5461 4.9637
O 9.7282 4.5851 5.1567
O 7.5740 -1.7122 9.0549
O 5.2181 -0.6617 3.2149
O 8.9035 -2.7486 6.8371
O 7.8766 -2.6794 2.0706
O 4.2182 1.0437 8.1327
O 7.9531 3.4820 6.8964
O 9.7113 1.9566 5.8428
O 3.3991 1.2493 3.0801
O 2.4458 -6.2426 5.0125
O 9.3951 0.3455 8.1578
O 6.8208 3.6392 4.1932
Si 7.0334 2.1304 3.6533
Si 2.6538 -5.1777 3.7642
Si 7.5054 -2.1945 7.4623
Si 1.3474 -1.4919 2.6319
Si 10.7923 -0.2073 7.5284
Si 9.5155 3.4718 6.3733
Si 5.1878 -3.6221 6.2029
Si 4.7526 0.6947 2.3655
```

Spin magnetization   23.0 μB/f.u.
Energy above the most stable polymorph in this dataset   0.0 meV per atom
Crystal system   triclinic
SG   P1
Calculated total energy   -179.55 eV per formula unit

=====

Number 1: energy of formation from the pure elements -28.236 eV per formula unit. Number 2: energy of formation from the pure elements -60.726 eV per formula unit.

=====

# 1
Computed, not measured: an optimized crystal structure of LiVAsO5 at the meta-GGA r2SCAN level of DFT.

Summary:
crystal system: orthorhombic

Cell lengths 7.4772, 6.4911, 7.4657 Å; angles 90.00, 90.00, 90.00 degrees
Fractional coordinates of all 32 atoms:
Li: 0.0000 0.0000 0.0000
Li: 0.0000 0.5000 0.0000
Li: 0.5000 0.0000 0.5000
Li: 0.5000 0.5000 0.5000
V: 0.1694 0.2500 0.2723
V: 0.3306 0.7500 0.7723
V: 0.6694 0.2500 0.2277
V: 0.8306 0.7500 0.7277
As: 0.1244 0.7500 0.3728
As: 0.3756 0.2500 0.8728
As: 0.6244 0.7500 0.1272
As: 0.8756 0.2500 0.6272
O: 0.0645 0.2500 0.5059
O: 0.1154 0.7500 0.8273
+++
_I: So, Time is born thanks to the Law of Rhythm.
_AM: That's right.
_I: So, Time is nothing more than a way to measure the rhythms of creation. But... What is Rhythm?
_AM: You'll be surprised. Rhythm is the same Vibration wave.
_I: It's all the same!
_AM: What does Rhythm mean to you?
_I: In my way of thinking, Rhythm is related to music. In the Sacred Musical Trinity, a song is composed of Rhythm, Harmony, and Melody. Rhythm is the musical "tempos," those that usually mark moments of repetition, the metric, and what we naturally do with a song by counting its tempos: "one, two, three, four!" It's what helps us know what comes next, what prepares us for what's to come. Harmony is coordination, putting mathematical order in the song, keeping us in a certain tuning, hertz, and coordinating the entry of each instrument, the chords and notes it must play. Meanwhile, Melody is the most known aspect of music because it's what we feel, hear, and with which we become familiar with a song, its form, its body. So, Rhythm would be like the measurement of things that must happen...
_AM: And yet, Rhythm is actually the only thing that happens...
_I: How?
_AM: Rhythm is not what measures Time; Rhythm is Time itself, but it's also Space. Rhythm is the Vibration wave. Rhythm comes from the Greek "rhythmos," which describes the concept of the Greek word "rein," which means "flow," the origin of the word "river."
_The page is interrupted by materials data_
1.
Here is HfNiGe after structural relaxation from Materials Project. Energies are from PBE-GGA.

Cell lengths 6.4959, 3.8735, 7.2860 Å; angles 90.00, 90.00, 90.00 degrees
Sites, in units of the cell vectors:
Hf1 0.0161 0.2500 0.1882
Hf2 0.4839 0.7500 0.6882
Hf3 0.5161 0.2500 0.3118
Hf4 0.9839 0.7500 0.8118
Ni1 0.1431 0.2500 0.5634
Ni2 0.3569 0.7500 0.0634
Ni3 0.6431 0.2500 0.9366
Ni4 0.8569 0.7500 0.4366
Ge1 0.2306 0.7500 0.3849
Ge2 0.2694 0.2500 0.8849
Ge3 0.7306 0.7500 0.1151
Ge4 0.7694 0.2500 0.6151

Results
Space-group type: Pnma


2.
Here is HfGeO2 after structural relaxation from Materials Project. Energies are from PBE-GGA.

Cell lengths 7.0360, 7.0360, 7.0360 Å; angles 125.51, 125.51, 80.69 degrees
Sites, in units of the cell vectors:
Hf1 0.0000 0.0000 0.0000
Hf2 0.0000 0.0000 0.5000
Hf3 0.0000 0.5000 0.0000
Hf4 0.5000 0.0000 0.5000
Ge1 0.0000 0.5000 0.5000
Ge2 0.5000 0.0000 0.0000
Ge3 0.5000 0.5000 0.0000
Ge4 0.5000 0.5000 0.5000
O1 0.1713 0.2026 0.9688
O2 0.2026 0.1713 0.4688
O3 0.2026 0.7338 0.0312
O4 0.2662 0.7974 0.4688
O5 0.7338 0.2026 0.5312
O6 0.7974 0.2662 0.9688
O7 0.7974 0.8287 0.5312
O8 0.8287 0.7974 0.0312

Results
Space-group type: I4_1/amd


3.
Here is Hf3GeO8 after structural relaxation from Materials Project. Energies are from PBE-GGA.

Cell lengths 6.3208, 6.3208, 6.3208 Å; angles 133.36, 133.36, 68.08 degrees
Sites, in units of the cell vectors:
Hf1 0.0000 0.0000 0.0000
Hf2 0.2500 0.7500 0.5000
Hf3 0.7500 0.2500 0.5000
Ge1 0.5000 0.5000 0.0000
O1 0.0397 0.6422 0.0000
O2 0.1950 0.1950 0.5690
O3 0.3578 0.3578 0.3975
O4 0.3740 0.8050 0.0000
O5 0.6260 0.6260 0.4310
O6 0.6422 0.0397 0.0000
O7 0.8050 0.3740 0.0000
O8 0.9603 0.9603 0.6025

Results
Space-group type: I-42m


4.
Here is HfGeO2 after structural relaxation from Materials Project. Energies are from PBE-GGA.

Cell lengths 7.0202, 7.0202, 7.0202 Å; angles 124.60, 124.60, 82.20 degrees
Sites, in units of the cell vectors:
Hf1 0.0000 0.0000 0.0000
Hf2 0.5000 0.0000 0.0000
Hf3 0.5000 0.0000 0.5000
Hf4 0.5000 0.5000 0.5000
Ge1 0.0000 0.0000 0.5000
Ge2 0.0000 0.5000 0.0000
Ge3 0.0000 0.5000 0.5000
Ge4 0.5000 0.5000 0.0000
O1 0.2416 0.2169 0.0496
O2 0.2831 0.8327 0.0247
O3 0.3080 0.2584 0.4753
O4 0.3327 0.8080 0.5496
O5 0.6673 0.1920 0.4504
O6 0.6920 0.7416 0.5247
O7 0.7169 0.1673 0.9753
O8 0.7584 0.7831 0.9504

Results
Space-group type: I4_1/a


no.,E_form (eV per atom)
1,-0.739
2,-2.041
3,-3.524
4,-2.038

----------

(1)
YAu3: relaxed, GGA-PBE. Values from VASP.

The structure in Quantum ESPRESSO input format:
```
&SYSTEM
  ibrav = 0, nat = 8, ntyp = 2
/
ATOMIC_SPECIES
Y 88.91 Y.upf
Au 196.97 Au.upf
CELL_PARAMETERS angstrom
5.083 0.000 0.000
0.000 6.212 0.000
0.000 0.000 5.181
ATOMIC_POSITIONS crystal
Y 0.250 0.250 0.155
Y 0.750 0.750 0.845
Au 0.250 0.507 0.659
Au 0.250 0.750 0.165
Au 0.250 0.993 0.659
Au 0.750 0.007 0.341
Au 0.750 0.250 0.835
Au 0.750 0.493 0.341
```

---

(2)
K2NdPCO7: relaxed, GGA-PBE. Values from VASP.
_I: Rhythm means "fluid," what flows... Wow. So, more than a metric, it's a constant...
_AM: A vibration wave seen in 2 dimensions resembles a line with curves, like a river on a map. A wave in 3 dimensions looks like the waves of a sea, lake, or river. The wave vibrates constantly, and no matter how many times it passes through the same place, it will always do so differently; it's constant transformation, nothing is the same even though everything seems similar. And each wave will be repetitive depending on the context, the rocks, the dunes, the currents, the rain, the plants. Therefore, vibration waves will have different frequencies. The frequencies in a river can be explained by the different geographic breaks: the cave, the drip, the source, the slope, the stream, the tributaries, the waterfalls, the rocky areas, the rapids, the sandbanks, lakes and ponds, meandering valleys, the delta, wetlands, and the bay. The river is always the same, going through exactly the same courses, and yet the water always moves differently, and it's never the same.
_I: Everything is different, and yet it always seems to be the same.
_AM: The River is the Rhythm, it's a constant of different frequencies. The river is not Time, and yet it embodies the way you understand it. Time doesn't exist as you know it; it's only the perception of a cycle that flows ceaselessly through the cosmos.
_I: We are drops of water in the river of existence...
_AM: And these drops are born from the slope in the caverns of the mountain, which arise from the accumulation of water between the rocks that have melted due to snow and ice, or from raindrops and moisture that have penetrated through the cracks in the ground. That same drop will travel through all the geography until it reaches the sea, to evaporate again, become a cloud, and return to the mountain in the form of snow or rain.
_I: And I will go through the same river again... Through the same places and landscapes.
_AM: And that's the feeling you have of Rhythm...
_I: That things repeat themselves, that I experience the same thing over and over again, see the same spaces, people, situations...
_AM: As you can see, it's not really things that repeat themselves, but you repeating yourself; it's you who return, not the things that follow you. The Law or Principle of Rhythm reminds you that everything is a cycle, and that you will go through it again and again... But, with so many rivers and streams in the world, why do you always choose the same one?
_I: That's what I wonder...
_AM: There are many people, drops of water, who never reach the sea.
_I: Why?
_AM: Out of fear of fullness, of the infinite... They prefer to cling to the known, to some wetland, or some rock or well. Many are consumed along the way by trees and animals. Others stagnate in waters that evaporate. Most do not leave their own region, and therefore, they go through the same river again. Those who dare to reach the Sea, when they evaporate, will become part of cyclones, of free clouds that will travel through the sky to new lands, with new rivers to travel...
_I: New rhythms to follow... New songs, melodies, experiences. How do I do this?
_AM: Change the Rhythm. Speed up or slow down the pace. If you live a hurried life with no results, then slow down your life. If you live a slow life with no news, speed up your life. Look for a new rhythm, it will depend on your will to move towards new tunes.
_I: This is in relation to the Law of Vibration, raising the frequency to capture a new reality...
_AM: Because if you don't, you'll always see the same landscape over and over again. History is like a journey through a beautiful landscape. If you have no idea where you're going; if you're unfamiliar with the terrain and don't pay attention, the road will become a maze, where you'll get lost over and over again returning to the same places. Everything can be a maze if you don't know where you're going. You're the one who must take the initiative to seek a goal and pay attention to the path. When you begin to see that throughout your life, the landscape repeats itself, living the same circumstances, meeting the same people, or living the same experiences differently, that's when you must recognize that you're going through the same river again.
_I: And is this just my own mistake?
_AM: No, you are part of a set, and in many cases, this happens by continuing with the flow of family, culture, clan beliefs. It's hereditary. And sometimes that provides security, and that's okay. It only becomes a mistake when you're doing everything in your life to get out of the same pattern, and yet it still happens. That's when you really have to think about it. Look, there's no pressure in the universe to evolve or enlighten, no one is behind you saying, "Enlighten yourself and free yourself from all patterns now." No, those are beliefs and expectations.
_I: Then?
_AM: You must learn to respect your own rhythms and not those that others impose on your life. There are some people who learn to add in a day, and there are others who need months or years. The only mistake here wouldn't be taking too long, but wanting to do it and not having the will or perseverance to achieve it.
_I: How do I discover what the right rhythm is?
_AM: By following the only pulse that marks the rhythms of the melody you call "your life," and that's your heart. Your heart is the pulse of the rhythmic flow of the circulatory system, the rivers in your veins and arteries. Life, the force, energy of your being, moves to the sound of your heart.
_I: Following the rhythm of the heart... What resonates, what beats within me.
_AM: Pay attention to the spaces and people or circumstances that repeat in your life, and dare to follow the pulse of your heart. You'll never be able to leave the circulation circuit, the flow of the rhythm law, but you can discover that if you decide to put will into changing the tune, the speed, you'll find thousands of rivers and streams, seas and oceans in which you can face new experiences and flow in new realities.
_I: And all this by adjusting the rhythm of my heart center... being consistent in my feeling and acting...
_AM: Tic-tac...
_I: I Am Rhythm...
_AM: I Am Time...